IELTS Speaking - Improve Score

IELTS Speaking - Improve Score

1. Fluency and coherence

 To be fluent in you speech means to sound natural. Many students find it difficult to keep the natural pace. As students try to speak more fluently they find themselves making more mistakes. There are two ways of dealing with this situation.

 The first one is long and laborious — to keep practising. This involves a lot of reading to memorise speech patterns, memorizing various cohesive devices to help you join clauses in your speech.

 The second way is easier. Speak a little bit slower than you usually would. That’s it. By slowing your pace you get yourself more time to think your sentence over. This also eliminates the pauses or at least makes them less noticeable. By making your speech hesitation-free you will certainly make a good impression on your examiners. As you practice more and grow confident of your skills you should try increasing the pace.

 Coherence is how much sense your speech makes. That includes:

- Relevance of your answer. You have to address the question, not something you much prefer talking about right now

- Text sequencing. How naturally your ideas go from one to another

- Cohesion. How well you connect your closes with various cohesive devices

2. Lexical resource

 Expanding and developing your vocabulary is a long and tedious process that lasts for as long as you study the language. However, to help you score more points for lexical resource use this list of synonyms for words that students overuse in their speech. Repeating words as “like”, “good” or "very" over and over again will not get you a good mark, so getting to know a couple of synonyms is an easy way to get a higher Speaking band.

3. Grammatical range and accuracy

Someone pasted records of molecules at this point =
........
A molecular structure, C45H46BrClN2O2PRuTe, computed with ωB97M-V with the def2-TZVPD basis set.

Its strongest force on any atom is 0.46 eV/Å. As for the expectation value of S²: 8.77. Its total charge is +2. Its energy above the lowest of the compared OMol25 structures with the same formula, charge and spin is 0.972 eV. The HOMO-LUMO gap (alpha / beta) is 7.21 / 6.43 eV. As for the multiplicity: 6.

Last column: Mulliken charge in e.
Positions of all 100 atoms, in Å:
Ru -0.45 0.18 -0.57  2.307
Cl -0.27 -0.23 2.10  -0.155
C -1.93 -0.26 2.72  0.647
C -2.06 -0.58 4.06  -0.636
C -3.33 -0.62 4.61  -0.614
C -4.45 -0.36 3.82  -0.925
C -4.29 -0.05 2.48  -0.099
C -3.02 0.01 1.90  -0.867
P -2.84 0.48 0.16  1.127
C -4.31 -0.22 -0.63  0.514
C -4.51 -1.59 -0.48  -0.528
C -5.60 -2.21 -1.06  -0.823
C -6.49 -1.47 -1.82  -0.880
C -6.30 -0.11 -1.98  -0.735
C -5.21 0.52 -1.38  -0.628
C -3.00 2.29 0.13  1.190
C -3.19 3.05 1.28  -1.070
C -3.34 4.43 1.20  -0.644
C -3.31 5.06 -0.04  -0.733
C -3.12 4.31 -1.20  -1.179
C -2.95 2.94 -1.11  -0.724
H -1.19 -0.78 4.65  0.533
H -3.45 -0.87 5.65  0.430
H -5.44 -0.40 4.25  0.467
H -5.16 0.15 1.87  0.586
H -3.83 -2.18 0.13  0.567
H -5.76 -3.27 -0.92  0.574
H -7.35 -1.95 -2.28  0.443
H -7.00 0.48 -2.56  0.465
H -5.10 1.59 -1.49  0.456
H -3.23 2.57 2.25  0.392
H -3.49 5.00 2.10  0.507
H -3.45 6.13 -0.10  0.442
H -3.10 4.80 -2.16  0.505
H -2.81 2.37 -2.02  0.975
Br 2.58 -0.27 0.02  -0.057
C 3.32 0.92 1.32  0.087
C 4.57 0.58 1.76  -0.875
C 5.12 1.24 2.87  -0.851
C 4.39 2.16 3.55  -0.935
C 3.09 2.53 3.10  0.554
C 2.33 3.46 3.86  -0.973
C 1.08 3.84 3.45  -1.255
C 0.58 3.37 2.22  0.206
C 1.31 2.49 1.48  0.090
C 2.55 1.96 1.92  0.696
H 5.11 -0.23 1.28  0.488
H 6.12 0.98 3.20  0.422
H 4.78 2.63 4.44  0.445
H 2.76 3.86 4.76  0.434
H 0.50 4.54 4.04  0.531
H -0.36 3.73 1.83  0.367
C 0.23 4.78 -0.81  -0.597
N 1.49 4.09 -0.99  0.508
C 2.46 4.74 -1.86  -0.943
C 1.59 2.74 -0.85  -2.091
O 0.80 2.19 0.19  2.012
H -0.04 5.30 -1.73  0.533
H 0.31 5.51 0.00  0.334
H -0.56 4.06 -0.57  -0.357
H 2.49 5.80 -1.64  0.396
H 2.19 4.61 -2.92  0.320
H 3.45 4.32 -1.68  0.307
H 2.58 2.32 -0.95  0.691
O -0.08 -1.93 -0.62  -0.972
C -0.03 -2.85 -1.46  -0.301
C 0.20 -2.63 -2.92  1.562
C -1.10 -3.12 -3.61  -1.474
C -2.39 -2.96 -2.76  0.410
C -2.69 -4.11 -1.79  -0.676
C -1.76 -4.21 -0.58  -0.419
N -0.38 -4.09 -1.09  -0.035
H 1.06 -3.19 -3.28  0.587
H 0.38 -1.57 -3.10  -1.617
H -0.99 -4.18 -3.87  0.610
H -1.20 -2.59 -4.56  0.461
H -3.24 -2.88 -3.45  0.541
H -2.37 -2.00 -2.22  -0.416
H -2.64 -5.05 -2.34  0.444
H -3.72 -4.04 -1.43  -0.050
H -1.87 -5.16 -0.06  0.371
H -1.91 -3.41 0.14  0.030
H -0.20 -4.78 -1.81  0.409
C 1.80 0.77 -3.65  -1.404
Te -0.03 1.59 -2.93  0.164
C -0.97 0.34 -4.40  -0.665
C 0.14 -0.03 -5.36  0.609
C -0.16 -0.58 -6.60  -0.744
C 0.86 -0.91 -7.48  -0.757
C 2.18 -0.68 -7.13  -0.660
C 2.49 -0.13 -5.90  -0.891
C 1.47 0.19 -5.00  0.733
H 2.14 0.01 -2.94  0.348
H 2.55 1.56 -3.68  0.820
H -1.75 0.93 -4.88  0.839
H -1.43 -0.51 -3.91  -0.159
........

 Similar to vocabulary, English grammar can’t be learned overnight. You will have to make do with what you have at the moment. Do not use more complex aspects of grammar if you don’t know how they work. More simple structures that are used accurately and appropriately are much better than a sloppy complex clause with several mistakes. Simple doesn’t mean bad, but simple also shouldn’t slip into primitive.

 Pay attention to your tenses — for example use simple tenses for things that are universally true. Don’t use continuous tenses if you don’t know why you’re using them. Show that you can express sequencing of events by using past simple, present perfect, past perfect.


 Don’t be afraid of your accent. As long as your pronunciation is clear and easy to understand you will not have points deducted for that part of the aspect. If you have difficulties pronouncing certain sounds (“th” is a common example), don’t try to avoid it in your speech. It will be extremely difficult for your to speak your way around it. Either find a pronunciation tutor or make sure that the way your pronounce the problematic sound is at least understandable and does not cause confusion (thinking-sinking).

 Consistency with AmE, BrE pronunciation like “schedule”, “either”. Same to spelling and vocabulary in writing.

 Have a look at this list of mispronounced words to make sure you pronounce these tricky words correctly.